Job:
Now find "5.812" and "-4.891 0.686" in the contents further down, and print these two lines and those between.

Source:
'''
Entry 1:
The molecule C5H4S, computed with wB97M-V/def2-TZVPD.

Output
energy above the lowest of the compared OMol25 structures with the same formula, charge and spin = 164.15 kJ/mol
Kohn-Sham gap = 7.98 eV
structure (SMILES) = C#CC(=C)C=S

The geometry in ORCA input format:
```
! wB97M-V def2-TZVPD RIJCOSX def2/J DEFGRID3
* xyz 0 1
C -2.266 -0.918 -0.076
C -1.165 -0.409 -0.039
C 0.169 0.218 0.090
C 0.403 1.518 0.008
C 1.284 -0.781 0.091
S 2.871 -0.527 -0.066
H -3.268 -1.287 -0.088
H 1.398 1.876 -0.071
H -0.412 2.144 -0.107
H 0.985 -1.834 0.258
*
```

Mulliken population analysis, charges in e, atoms 1 to 4: 0.287 -0.623 0.390 -0.838

Entry 2:
A cluster of 11 separate species, C18H52B6F24N5O5 in total, computed with wB97M-V/def2-TZVPD.

Output
Kohn-Sham gap = 7.32 eV

The geometry in ORCA input format:
```
! wB97M-V def2-TZVPD RIJCOSX def2/J DEFGRID3
* xyz -1 1
C -0.003 0.765 -2.141
C 0.075 -0.455 -1.216
O 0.966 -1.241 -1.378
N -1.070 -0.659 -0.185
H -1.677 0.143 -0.270
H -1.619 -1.498 -0.303
C -0.332 -0.513 1.167
H 0.987 0.872 -2.585
H -0.277 1.703 -1.659
H -0.749 0.548 -2.905
H 0.503 -1.212 1.225
H -1.133 -0.794 1.850
H -0.022 0.514 1.357
C 1.678 4.177 -1.818
C 0.442 4.341 -0.908
O 0.379 4.093 0.310
N -0.794 5.044 -1.494
H -0.658 5.072 -2.495
H -1.506 4.342 -1.353
C -1.139 6.424 -0.951
H 2.511 4.185 -1.116
H 1.746 4.962 -2.571
H 1.581 3.129 -2.105
H -0.921 6.197 0.093
H -2.168 6.743 -1.121
H -0.514 7.127 -1.500
C 1.457 -3.462 5.937
C 2.438 -3.511 4.721
C 1.613 -3.743 3.340
O 2.564 -3.750 2.264
C 1.941 -3.953 0.932
N 3.174 -2.114 4.607
H 3.708 -1.894 5.435
H 3.790 -2.023 3.812
H 2.513 -1.372 4.426
H 2.077 -3.047 6.731
H 1.107 -4.474 6.141
H 0.616 -2.780 5.812
H 3.202 -4.261 4.926
H 0.853 -2.989 3.138
H 1.114 -4.712 3.321
H 1.247 -3.134 0.739
H 1.538 -4.966 0.927
H 2.575 -3.868 0.050
C 5.057 -2.057 -4.633
C 3.848 -1.288 -4.202
C 3.493 -0.062 -5.186
O 2.269 0.474 -4.605
C 1.688 1.498 -5.397
N 2.674 -2.272 -4.126
H 2.867 -2.969 -3.421
H 1.753 -1.874 -4.006
H 2.580 -2.717 -5.028
H 5.188 -3.030 -4.160
H 5.862 -1.337 -4.483
H 4.924 -2.211 -5.703
H 3.805 -0.880 -3.192
H 3.187 -0.413 -6.172
H 4.250 0.697 -4.990
H 0.715 1.893 -5.102
H 1.878 1.285 -6.449
H 2.260 2.422 -5.315
C -3.202 0.569 3.601
C -4.754 0.348 3.827
C -5.264 -1.035 3.666
O -4.884 -1.730 4.903
C -3.564 -2.221 5.143
N -5.279 1.033 5.109
H -4.891 0.686 5.975
H -5.093 2.021 5.016
H -6.286 0.994 5.185
H -2.931 1.486 3.078
H -2.565 -0.189 3.146
H -2.681 0.663 4.554
H -5.202 1.016 3.090
H -4.810 -1.541 2.814
H -6.340 -0.877 3.590
H -2.842 -1.426 5.332
H -3.244 -2.600 4.172
H -3.642 -2.952 5.948
B 3.675 1.452 -0.354
F 2.537 1.213 0.262
F 4.646 0.619 0.075
F 3.566 1.305 -1.729
F 4.079 2.748 -0.015
B -1.259 4.068 -4.829
F -1.219 3.120 -3.807
F -2.483 4.646 -4.954
F -0.271 4.978 -4.549
F -0.921 3.451 -6.021
B -0.646 -1.708 -5.949
F 0.443 -0.979 -6.183
F -1.312 -1.913 -7.160
F -0.231 -2.797 -5.331
F -1.504 -1.044 -5.144
B 0.646 0.277 4.325
F 1.607 -0.210 3.371
F -0.493 -0.586 4.199
F 1.288 0.176 5.547
F 0.367 1.630 4.124
B -2.897 2.143 -0.597
F -2.648 1.613 -1.800
F -1.843 2.007 0.254
F -2.967 3.525 -0.622
F -3.995 1.637 0.058
B -2.545 -3.349 0.341
F -2.869 -2.388 1.311
F -1.193 -3.568 0.310
F -3.195 -4.570 0.605
F -2.997 -2.851 -0.901
*
```

Mulliken population analysis, charges in e, atoms 1 to 4: 1.088 -0.495 -0.643 1.013

Entry 3:
The molecule C2H3NO3, computed with wB97M-V/def2-TZVPD.

Output
energy above the lowest of the compared OMol25 structures with the same formula, charge and spin = 319.64 kJ/mol
Kohn-Sham gap = 11.06 eV
structure (SMILES) = O=CNOC=O

The geometry in ORCA input format:
```
! wB97M-V def2-TZVPD RIJCOSX def2/J DEFGRID3
* xyz 0 1
O 0.304 -0.013 2.454
C -0.611 -0.183 1.688
N -0.542 -0.516 0.326
O 0.576 0.022 -0.333
C 0.686 0.320 -1.673
O -0.299 0.288 -2.407
H -1.653 -0.164 2.010
H -1.277 -0.364 -0.285
H 1.625 0.938 -1.804
*
```

Mulliken population analysis, charges in e, atoms 1 to 4: -0.450 0.114 -0.152 -0.163

Entry 4:
'''

Completed:
H 0.616 -2.780 5.812
H 3.202 -4.261 4.926
H 0.853 -2.989 3.138
H 1.114 -4.712 3.321
H 1.247 -3.134 0.739
H 1.538 -4.966 0.927
H 2.575 -3.868 0.050
C 5.057 -2.057 -4.633
C 3.848 -1.288 -4.202
C 3.493 -0.062 -5.186
O 2.269 0.474 -4.605
C 1.688 1.498 -5.397
N 2.674 -2.272 -4.126
H 2.867 -2.969 -3.421
H 1.753 -1.874 -4.006
H 2.580 -2.717 -5.028
H 5.188 -3.030 -4.160
H 5.862 -1.337 -4.483
H 4.924 -2.211 -5.703
H 3.805 -0.880 -3.192
H 3.187 -0.413 -6.172
H 4.250 0.697 -4.990
H 0.715 1.893 -5.102
H 1.878 1.285 -6.449
H 2.260 2.422 -5.315
C -3.202 0.569 3.601
C -4.754 0.348 3.827
C -5.264 -1.035 3.666
O -4.884 -1.730 4.903
C -3.564 -2.221 5.143
N -5.279 1.033 5.109
H -4.891 0.686 5.975